Exercise
Next, start at the top of the data below and repeat each line, ending with the one that has "4.619".
Listing
........
15
Properties=species:S:1:pos:R:3 method="wB97M-V/def2-TZVPD" total_charge=0 smiles=Cn1cccc1N orbital_gap_ha=0.3270
C 0.098 0.914 1.675
N -0.168 0.464 0.325
C -0.981 1.075 -0.595
C -0.908 0.374 -1.774
C -0.025 -0.717 -1.558
C 0.406 -0.639 -0.255
N 1.196 -1.499 0.547
H 1.171 0.882 1.874
H -0.261 1.941 1.782
H -0.404 0.286 2.417
H -1.551 1.954 -0.325
H -1.435 0.610 -2.689
H 0.251 -1.494 -2.259
H 0.624 -2.295 0.811
H 1.986 -1.855 0.023

***

86
Properties=species:S:1:pos:R:3 method="wB97M-V/def2-TZVPD" total_charge=0 smiles="NC(N)=O.NC(N)=O.NC(N)=O.NC(N)=O.NC(N)=O.NC(N)=O.NC(N)=O.NC(N)=O.NC(N)=O.NC(N)=O.O.O" orbital_gap_ha=0.3525
N 1.492 2.517 -3.229
C 0.569 2.771 -4.185
N 0.467 4.091 -4.532
O -0.059 1.908 -4.804
H 1.601 1.545 -2.996
H 2.023 3.270 -2.836
H 1.000 4.773 -4.024
H -0.218 4.351 -5.213
N 3.527 -3.842 -2.850
C 3.758 -2.810 -1.980
N 3.514 -1.591 -2.540
O 4.039 -3.009 -0.803
H 3.169 -3.576 -3.748
H 3.388 -4.777 -2.522
H 3.385 -1.474 -3.526
H 3.472 -0.809 -1.909
N -3.301 2.202 0.890
C -2.347 1.602 1.662
N -2.088 0.310 1.364
O -1.827 2.186 2.616
H -3.425 3.174 1.123
H -3.576 1.818 0.006
H -1.522 -0.230 2.001
H -2.515 -0.135 0.564
N 0.621 -4.781 2.544
C 1.543 -3.933 1.953
N 1.795 -4.188 0.655
O 1.973 -2.964 2.558
H 0.395 -5.642 2.076
H 0.668 -4.757 3.550
H 1.246 -4.825 0.106
H 2.482 -3.632 0.142
N 1.213 0.446 0.672
C 1.031 -0.147 -0.539
N 0.501 -1.395 -0.450
O 1.387 0.301 -1.631
H 0.619 0.152 1.438
H 1.470 1.421 0.606
H 0.590 -2.000 -1.248
H 0.322 -1.850 0.429
N -1.647 -3.941 -3.739
C -0.394 -3.485 -3.436
N -0.330 -2.132 -3.340
O 0.538 -4.251 -3.243
H -2.399 -3.318 -3.966
H -1.751 -4.933 -3.838
H 0.582 -1.716 -3.238
H -1.028 -1.518 -3.729
N 0.724 2.946 5.534
C 1.582 2.917 4.457
N 1.041 2.462 3.298
O 2.782 3.141 4.565
H 1.202 3.126 6.399
H -0.248 3.164 5.421
H 0.096 2.128 3.201
H 1.747 2.272 2.606
N -3.656 -1.936 2.731
C -2.428 -2.429 2.412
N -2.300 -3.766 2.697
O -1.590 -1.805 1.780
H -4.370 -2.533 3.101
H -3.778 -0.945 2.635
H -1.376 -4.165 2.636
H -3.122 -4.327 2.827
N -3.056 2.307 -2.540
C -2.726 1.015 -2.218
N -1.530 0.618 -2.748
O -3.353 0.318 -1.427
H -3.903 2.638 -2.116
H -2.378 2.921 -2.948
H -0.912 1.256 -3.243
H -1.126 -0.106 -2.172
N -1.339 4.762 1.386
C -0.395 4.725 0.389
N -0.204 3.480 -0.162
O 0.131 5.701 -0.120
H -1.493 3.922 1.936
H -1.382 5.688 1.779
H 0.338 3.537 -1.004
H -0.659 2.660 0.192
O 3.594 2.390 1.596
H 3.648 2.723 2.508
H 3.686 1.435 1.682
O 0.156 -0.855 3.112
H 0.148 -1.808 2.956
H 0.497 -0.754 4.005

***

60
Properties=species:S:1:pos:R:3 method="wB97M-V/def2-TZVPD" total_charge=+1 orbital_gap_ha="0.2474 / 0.2556" spin_multiplicity=3
C -1.661 2.902 -3.615
C -1.294 1.772 -2.879
C 0.097 1.518 -2.700
C 1.065 2.374 -3.253
C 0.660 3.506 -3.959
C -0.697 3.769 -4.134
C 2.508 2.034 -2.997
C 2.720 0.548 -3.015
C 1.693 -0.248 -2.487
C 1.808 -1.665 -2.487
C 2.991 -2.238 -2.956
C 4.026 -1.440 -3.447
C 3.888 -0.052 -3.488
H -2.725 3.104 -3.766
H 1.423 4.173 -4.364
H -1.011 4.657 -4.684
H 3.155 2.520 -3.731
H 3.090 -3.329 -2.932
H 4.941 -1.910 -3.811
H 4.683 0.580 -3.882
N 0.549 0.394 -1.994
V -0.131 0.009 -0.145
C -2.353 0.846 -2.302
H -2.242 -0.178 -2.693
H -3.354 1.212 -2.561
C 0.675 -2.551 -2.023
H -0.227 -2.421 -2.641
H 0.974 -3.606 -2.051
P -2.298 0.723 -0.445
P 0.182 -2.249 -0.286
C 1.375 -3.208 0.681
H 1.083 -3.155 1.736
H 1.372 -4.241 0.317
H 2.375 -2.774 0.577
C -1.353 -3.174 -0.092
H -1.103 -4.238 -0.184
H -1.793 -2.982 0.892
H -2.073 -2.898 -0.871
C -2.660 2.442 0.045
H -3.558 2.819 -0.464
H -2.795 2.484 1.133
H -1.805 3.076 -0.221
C -3.766 -0.234 0.037
H -3.724 -0.399 1.121
H -4.687 0.305 -0.217
H -3.759 -1.210 -0.461
H 2.784 2.421 -1.991
H 1.150 -0.900 0.251
S -0.367 -0.390 2.211
C 0.298 0.889 3.148
N 1.562 1.058 3.565
C 1.694 2.232 4.410
C 0.256 2.671 4.619
N -0.480 1.831 3.700
H 2.345 0.511 3.217
H 2.267 3.003 3.890
H 2.197 1.983 5.345
H 0.097 3.724 4.389
H -0.072 2.479 5.642
H -1.486 1.834 3.566

***

12
........
Written answer
15
Properties=species:S:1:pos:R:3 method="wB97M-V/def2-TZVPD" total_charge=0 smiles=Cn1cccc1N orbital_gap_ha=0.3270
C 0.098 0.914 1.675
N -0.168 0.464 0.325
C -0.981 1.075 -0.595
C -0.908 0.374 -1.774
C -0.025 -0.717 -1.558
C 0.406 -0.639 -0.255
N 1.196 -1.499 0.547
H 1.171 0.882 1.874
H -0.261 1.941 1.782
H -0.404 0.286 2.417
H -1.551 1.954 -0.325
H -1.435 0.610 -2.689
H 0.251 -1.494 -2.259
H 0.624 -2.295 0.811
H 1.986 -1.855 0.023

***

86
Properties=species:S:1:pos:R:3 method="wB97M-V/def2-TZVPD" total_charge=0 smiles="NC(N)=O.NC(N)=O.NC(N)=O.NC(N)=O.NC(N)=O.NC(N)=O.NC(N)=O.NC(N)=O.NC(N)=O.NC(N)=O.O.O" orbital_gap_ha=0.3525
N 1.492 2.517 -3.229
C 0.569 2.771 -4.185
N 0.467 4.091 -4.532
O -0.059 1.908 -4.804
H 1.601 1.545 -2.996
H 2.023 3.270 -2.836
H 1.000 4.773 -4.024
H -0.218 4.351 -5.213
N 3.527 -3.842 -2.850
C 3.758 -2.810 -1.980
N 3.514 -1.591 -2.540
O 4.039 -3.009 -0.803
H 3.169 -3.576 -3.748
H 3.388 -4.777 -2.522
H 3.385 -1.474 -3.526
H 3.472 -0.809 -1.909
N -3.301 2.202 0.890
C -2.347 1.602 1.662
N -2.088 0.310 1.364
O -1.827 2.186 2.616
H -3.425 3.174 1.123
H -3.576 1.818 0.006
H -1.522 -0.230 2.001
H -2.515 -0.135 0.564
N 0.621 -4.781 2.544
C 1.543 -3.933 1.953
N 1.795 -4.188 0.655
O 1.973 -2.964 2.558
H 0.395 -5.642 2.076
H 0.668 -4.757 3.550
H 1.246 -4.825 0.106
H 2.482 -3.632 0.142
N 1.213 0.446 0.672
C 1.031 -0.147 -0.539
N 0.501 -1.395 -0.450
O 1.387 0.301 -1.631
H 0.619 0.152 1.438
H 1.470 1.421 0.606
H 0.590 -2.000 -1.248
H 0.322 -1.850 0.429
N -1.647 -3.941 -3.739
C -0.394 -3.485 -3.436
N -0.330 -2.132 -3.340
O 0.538 -4.251 -3.243
H -2.399 -3.318 -3.966
H -1.751 -4.933 -3.838
H 0.582 -1.716 -3.238
H -1.028 -1.518 -3.729
N 0.724 2.946 5.534
C 1.582 2.917 4.457
N 1.041 2.462 3.298
O 2.782 3.141 4.565
H 1.202 3.126 6.399
H -0.248 3.164 5.421
H 0.096 2.128 3.201
H 1.747 2.272 2.606
N -3.656 -1.936 2.731
C -2.428 -2.429 2.412
N -2.300 -3.766 2.697
O -1.590 -1.805 1.780
H -4.370 -2.533 3.101
H -3.778 -0.945 2.635
H -1.376 -4.165 2.636
H -3.122 -4.327 2.827
N -3.056 2.307 -2.540
C -2.726 1.015 -2.218
N -1.530 0.618 -2.748
O -3.353 0.318 -1.427
H -3.903 2.638 -2.116
H -2.378 2.921 -2.948
H -0.912 1.256 -3.243
H -1.126 -0.106 -2.172
N -1.339 4.762 1.386
C -0.395 4.725 0.389
N -0.204 3.480 -0.162
O 0.131 5.701 -0.120
H -1.493 3.922 1.936
H -1.382 5.688 1.779
H 0.338 3.537 -1.004
H -0.659 2.660 0.192
O 3.594 2.390 1.596
H 3.648 2.723 2.508
H 3.686 1.435 1.682
O 0.156 -0.855 3.112
H 0.148 -1.808 2.956
H 0.497 -0.754 4.005

***

60
Properties=species:S:1:pos:R:3 method="wB97M-V/def2-TZVPD" total_charge=+1 orbital_gap_ha="0.2474 / 0.2556" spin_multiplicity=3
C -1.661 2.902 -3.615
C -1.294 1.772 -2.879
C 0.097 1.518 -2.700
C 1.065 2.374 -3.253
C 0.660 3.506 -3.959
C -0.697 3.769 -4.134
C 2.508 2.034 -2.997
C 2.720 0.548 -3.015
C 1.693 -0.248 -2.487
C 1.808 -1.665 -2.487
C 2.991 -2.238 -2.956
C 4.026 -1.440 -3.447
C 3.888 -0.052 -3.488
H -2.725 3.104 -3.766
H 1.423 4.173 -4.364
H -1.011 4.657 -4.684
H 3.155 2.520 -3.731
H 3.090 -3.329 -2.932
H 4.941 -1.910 -3.811
H 4.683 0.580 -3.882
N 0.549 0.394 -1.994
V -0.131 0.009 -0.145
C -2.353 0.846 -2.302
H -2.242 -0.178 -2.693
H -3.354 1.212 -2.561
C 0.675 -2.551 -2.023
H -0.227 -2.421 -2.641
H 0.974 -3.606 -2.051
P -2.298 0.723 -0.445
P 0.182 -2.249 -0.286
C 1.375 -3.208 0.681
H 1.083 -3.155 1.736
H 1.372 -4.241 0.317
H 2.375 -2.774 0.577
C -1.353 -3.174 -0.092
H -1.103 -4.238 -0.184
H -1.793 -2.982 0.892
H -2.073 -2.898 -0.871
C -2.660 2.442 0.045
H -3.558 2.819 -0.464
H -2.795 2.484 1.133
H -1.805 3.076 -0.221
C -3.766 -0.234 0.037
H -3.724 -0.399 1.121
H -4.687 0.305 -0.217
H -3.759 -1.210 -0.461
H 2.784 2.421 -1.991
H 1.150 -0.900 0.251
S -0.367 -0.390 2.211
C 0.298 0.889 3.148
N 1.562 1.058 3.565
C 1.694 2.232 4.410
C 0.256 2.671 4.619